Page 15 of The Harbinger
Another lightning bolt licked across my belly, this one less painful than the first.
“Sleep, Mia.”
“You’re awfully bossy.”
Vlad coughed, and Sacha leaned forward, his thumb and finger gripping my chin. “And it’ll do you good to listen.”
I gulped down the chill settling against my spine as he returned to his phone, leaving the warm remnants of his hand against my chin.
Pulling the blanket up around my shoulders, I closed my eyes and silently suffered the raw pain in my belly.
Chapter 4
Thegirlstaredbackat me, her pitch-black eyes swallowing the whites, her nightgown stained with filth and grime. Her cracked lips moved, and whispers filled the hollow air around me.
“Who are you?”
She stood swaying as if on fast forward, her gown moving along with her, then her mouth gaped wide as her hand slammed against the glass between us, shuddering the earth around me, the ground quivering with her banshee-like scream.
The lights flickered, and her haunted figure diminished, leaving my replication in her place.
My skin was slicked with sweat, and my heart pounded against my chest, which only kicked up an extra notch when his two darkened eyes burrowed into me from behind, warping my mind with an intensity that burned me to the core.
A cold wash ran down my spine as I sucked in a deep breath and turned away from my mirror image.
“Where am I?” I whispered as I searched the room for familiarity, the wall of mirrors at my back.
“We’re about to land in Moscow,” Sacha said, his body so close that he radiated heat like a river of lava carving up the mountainside.
“I…”I’d slept through Alaska?
=====
Here is a geometry-optimized CeP4NO12 structure from Materials Project. Energies are from PBE.

**ρ**: 3.184 g/cm³
**Formation enthalpy at 0 K**: -2.42 eV/atom
**Raw total energy**: -0.53327 Ry per atom

Cell: 7.9443 12.4818 10.5621 Å, 90.00 110.60 90.00°
With the nearest neighbours (Å) after each atom.
Space group C2/c (No. 15)
Unique sites:
Ce1 0.0000 0.1163 0.2500 (multiplicity 4)  8 O 2.33-2.43
P1 0.0431 0.3287 0.4992 (multiplicity 8)  4 O 1.50-1.62
P2 0.2171 0.4773 0.9413 (multiplicity 8)  4 O 1.50-1.61
N1 0.0000 0.1834 0.7500 (multiplicity 4)  6 O 2.82-3.00
O1 0.0506 0.2421 0.1002 (multiplicity 8)  1 P 1.51
O2 0.0687 0.4285 0.4101 (multiplicity 8)  2 P 1.61-1.62
O3 0.0981 0.3726 0.9352 (multiplicity 8)  2 P 1.60-1.61
O4 0.1480 0.0064 0.9185 (multiplicity 8)  1 P 1.50
O5 0.2151 0.3035 0.6127 (multiplicity 8)  1 P 1.50
O6 0.2181 0.0312 0.1753 (multiplicity 8)  1 P 1.50



Here is a geometry-optimized CeS4N4O18 structure from Materials Project. Energies are from PBE.

**ρ**: 2.137 g/cm³
**Formation enthalpy at 0 K**: -0.31 eV/atom
**Raw total energy**: -0.40966 Ry per atom

Cell: 12.7778 11.5214 13.9379 Å, 90.00 111.92 90.00°
With the nearest neighbours (Å) after each atom.
Space group P2_1/c (No. 14)
Unique sites:
Ce1 0.2124 0.0506 0.1198 (multiplicity 4)  9 O 2.32-2.50
S1 0.0854 0.5962 0.4264 (multiplicity 4)  4 O 1.45-1.51
S2 0.2116 0.5072 0.8365 (multiplicity 4)  4 O 1.47-1.50
S3 0.3170 0.2139 0.5987 (multiplicity 4)  4 O 1.47-1.51
S4 0.4271 0.5654 0.6181 (multiplicity 4)  4 O 1.47-1.51
N1 0.0016 0.7225 0.1540 (multiplicity 4)  5 O 2.83-3.14
N2 0.2260 0.6371 0.1243 (multiplicity 4)  2 O 2.88-2.93, 2 N 3.18-3.20
N3 0.3615 0.7261 0.3532 (multiplicity 4)  3 O 2.70-3.03
N4 0.4810 0.5699 0.1167 (multiplicity 4)  5 O 2.84-3.18
O1 0.0390 0.1221 0.1097 (multiplicity 4)  1 S 1.51
O2 0.1007 0.0334 0.9322 (multiplicity 4)  1 S 1.50
O3 0.1143 0.1220 0.7224 (multiplicity 4)  1 O 1.21
O4 0.1309 0.0167 0.3868 (multiplicity 4)  1 S 1.47
O5 0.1323 0.6532 0.3585 (multiplicity 4)  1 S 1.45
O6 0.1404 0.6342 0.5378 (multiplicity 4)  1 S 1.51
O7 0.1642 0.5798 0.7409 (multiplicity 4)  1 S 1.50
O8 0.2051 0.1122 0.7928 (multiplicity 4)  1 O 1.21
O9 0.2088 0.2321 0.0265 (multiplicity 4)  1 S 1.51
O10 0.2506 0.1020 0.3013 (multiplicity 4)  1 S 1.50
O11 0.2960 0.1017 0.6379 (multiplicity 4)  1 S 1.47
O12 0.3056 0.5700 0.9177 (multiplicity 4)  1 S 1.49
O13 0.3430 0.0054 0.0333 (multiplicity 4)  1 S 1.51
O14 0.3614 0.1984 0.1848 (multiplicity 4)  1 S 1.51
O15 0.3784 0.5696 0.7009 (multiplicity 4)  1 S 1.50
O16 0.3967 0.1922 0.5474 (multiplicity 4)  1 S 1.47
O17 0.4442 0.6817 0.5829 (multiplicity 4)  1 S 1.47
O18 0.4599 0.0112 0.8442 (multiplicity 4)  1 S 1.48



Here is a geometry-optimized Ce4Si4N6O5 structure from Materials Project. Energies are from PBE.

**ρ**: 5.012 g/cm³
**Formation enthalpy at 0 K**: -2.29 eV/atom
**Raw total energy**: -0.61998 Ry per atom

Cell: 10.3509 10.3509 10.3509 Å, 90.00 90.00 90.00°
With the nearest neighbours (Å) after each atom.
=====
The materials data stop here =
“You sleepwalk.”
His matter-of-fact tone rippled around me, slowing my wild pulse.
Jenny said when she’d closed her eyes, her mind told her stories of faraway places, where she was the hero riding in to save the day or where her demons fell at her feet.
I’d never seen what she’d described.
“I think I do.”One. Two. Three.“It’s only happened a few times.”
Sacha stood with his hands in his pockets, his foot turned to the side as he balanced on the other. His relaxed demeanor lowered my defenses, making me want to open up to him and spill every horrible thing I could remember. How would it feel to share the disturbing thoughts inside my head?
“And what happened when you did?”
“Um…” I swiped my hair away from my face and frowned at the sweat slicking my clean skin. Where did my towel go? The one around my chest remained firmly intact. “I walked into the street once and woke up to car horns and lights.” I nearly had a heart attack when I awoke to a car careening towards me, their horn blaring and tires screeching. He’d stopped mere inches from my dirty knees. “And then the other time wasn’t far from my bed under the bridge.”
To be fair, there were more instances, but I couldn’t account for all of them. I’d been free from that hellhole for eight days, and now it appeared I’d traded one captivity for another.
The speakers crackled a moment overhead. “Eto vash kapitan, zaymite svoi mesta.”
“You have two minutes to get dressed.” He pointed to a stack of clothes on the end of the bed.
I walked around him, slipping the shirt over my head first while leaving the towel in place, then searched for the underwear. “Where is the—”
“You won’t be needing them.” He glanced at his watch. “You have one minute.”